Top Items:
Prof. Phil Jones / Watts Up With That?:
Climategate 2.0 emails - They're real and they're spectacular! — UPDATE: 8:20 AM PST These emails have not been verified yet, and this story was posted by one of my moderating staff while I was asleep. Until such time they are verified, tread lightly because without knowing what is behind …
Discussion:, Hot Air, Guardian, Power Line, Don Surber, Patterico's Pontifications, The Strata-Sphere, The PJ Tatler and Maggie's Farm

‘New release’ of climate emails — The writer appears to argue that combating climate change will create poverty — What appears to be a new batch of emails and other documents from the University of East Anglia's Climatic Research Unit has been released.
Alan Colmes' Liberaland, The Hill and DeSmogBlog
Leo Hickman / Guardian:
Fresh round of hacked climate science emails leaked online — A file containing 5,000 emails has been made available in an apparent attempt to repeat the impact of 2009's similar release — A fresh tranche of private emails exchanged between leading climate scientists throughout the last decade was released online on Tuesday.

Uh oh, global warming loons: here comes Climategate II! — Breaking news: two years after the Climategate, a further batch of emails has been leaked onto the internet by a person - or persons - unknown. And as before, they show the “scientists” at the heart of the Man-Made Global Warming industry in a most unflattering light.
The Enterprise Blog, blogs, Get Energy Smart! and Campaign 2012
Jeff Id / The Air Vent:
Climategate 2.0 — Files can be downloaded here.
Climategate 2.0 — Files can be downloaded here.
Political Mojo, ThinkProgress, The Reference Frame and The PJ Tatler
Tallbloke / tallbloke's talkshop:
Breaking news: FOIA 2011 has arrived !
Breaking news: FOIA 2011 has arrived !
THE ASTUTE BLOGGERS, Big Government and YID With LID
Judd Legum / ThinkProgress:
New ThinkProgress ‘Ad’: Romney Says 'Let Us Just Raise Your Taxes Some More'* — Yesterday, Mitt Romney released his first campaign ad, which quotes President Obama saying “if we keep talking about the economy, we're going to lose.” But those weren't Obama's words; he was quoting a strategist for Sen. John McCain in 2008.
RELATED: Truth-O-Meter rulings from National:
Mitt Romney: Says Barack Obama said, “If we keep talking about the economy, we're going to lose.” — The Truth-o-Meter says: Pants on Fire! Mitt Romney ad charges Obama said, 'If we keep talking about the economy, we're going to lose' — On the eve of a presidential trip to New Hampshire on Nov. 22 …
ThinkProgress, ABCNEWS, Mediaite, New York Times, Planet Washington and Le·gal In·sur·rec· tion
A.Killough / CNN:
TRENDING: Romney names possible running mate — (CNN) - GOP presidential front-runner Mitt Romney on Monday dropped a name for a possible running mate should he secure his party's nomination. — “There are probably 15 names of people, including (New Hampshire Sen.) Kelly Ayotte,” Romney said in an interview on Fox News.
Brian Montopoli / CBS News:
Mitt Romney attack ad misleadingly quotes Obama
Mitt Romney attack ad misleadingly quotes Obama
Washington Monthly and Truthdig
Gail Gitcho / Mitt Romney for President …:
TABLES TURNED — Three years ago, candidate Barack Obama mocked …
TABLES TURNED — Three years ago, candidate Barack Obama mocked …
News Desk, Washington Post and ThinkProgress

It Figures... UC Davis Students AGREED to Be Pepper Sprayed Before Incident (Video) ...Update: UC Davis Pepper Spray Massacre Victims Giggled & Smiled Describing Historic Torture — For the record... The UC Davis students who were holding the illegal protest on campus last weekend were warned …
Pat Dollard, The Lonely Conservative and The PJ Tatler

Inserted here: molecular data:
Here is a molecular structure, C23H23BrIrN3OS from the Open Molecules 2025 dataset. Energies are from the ωB97M-V functional and the def2-TZVPD basis.

XYZ file:
```
53
Properties=species:S:1:pos:R:3:lowdin_charge:R:1
Ir -0.649 -1.042 0.035 0.91
O -0.477 -4.390 5.114 0.18
C -0.544 -3.533 4.125 -0.26
C -0.955 -2.195 4.249 0.07
C -0.983 -1.394 3.137 -0.09
N -0.629 -1.850 1.917 -0.18
C -0.253 -3.137 1.829 -0.63
Br 0.113 -3.553 0.000 1.02
C -0.180 -4.021 2.852 0.04
H -0.756 -4.030 5.970 0.16
H -1.256 -1.792 5.206 0.15
H -1.301 -0.362 3.200 0.10
H 0.123 -5.051 2.721 0.15
S -1.766 0.826 0.737 0.74
C -1.866 2.074 -0.512 -0.68
N -3.059 2.553 -0.773 0.06
C -3.297 3.745 -1.616 -0.11
C -2.027 4.571 -1.689 -0.13
C -0.850 3.683 -2.058 -0.11
N -0.785 2.552 -1.105 0.06
H -3.852 2.100 -0.340 0.15
H -4.116 4.303 -1.168 0.14
H -3.615 3.407 -2.603 0.14
H -1.837 5.058 -0.731 0.14
H -2.147 5.352 -2.437 0.14
H 0.092 4.220 -1.987 0.14
H -0.946 3.289 -3.070 0.14
H 0.108 2.281 -0.724 0.14
C -0.976 -1.949 -4.393 0.02
C 0.386 -2.008 -4.672 0.01
C 1.318 -1.552 -3.752 0.05
C 0.881 -1.035 -2.521 -0.24
C -0.512 -0.954 -2.273 -0.23
C -1.439 -1.403 -3.188 -0.02
C 1.751 -0.678 -1.467 0.01
C 1.252 -0.506 -0.166 -0.23
C 2.102 -0.078 0.902 -0.20
C 1.590 0.535 2.075 -0.04
C 2.431 0.978 3.065 -0.02
C 3.812 0.792 2.942 0.02
C 4.347 0.172 1.811 -0.01
C 3.515 -0.243 0.801 0.02
H -1.689 -2.305 -5.124 0.14
H 0.721 -2.418 -5.616 0.14
H 2.378 -1.625 -3.962 0.14
H -0.860 -0.126 -1.567 0.04
H -2.501 -1.312 -3.002 0.13
H 2.807 -0.556 -1.676 0.14
H 0.528 0.716 2.154 0.05
H 2.033 1.479 3.937 0.13
H 4.472 1.134 3.729 0.14
H 5.414 0.021 1.732 0.13
H 3.950 -0.744 -0.051 0.12
```

The value obtained for the LUMO energy (alpha / beta) is -9.850 / -11.886 eV. The multiplicity is 2. The charge is +3. The energy above the lowest of the compared OMol25 structures with the same formula, charge and spin comes out at 0.0 kcal/mol. The frontier orbital gap (alpha / beta) is 7.2891 / 5.8719 eV. Its expectation value of S² is 0.794. For the HOMO energy (alpha / beta), the calculation gives -17.1 / -17.8 eV.


Here is a molecular structure, C5H11BrCl2O3S2 from the Open Molecules 2025 dataset. Energies are from the ωB97M-V functional and the def2-TZVPD basis.

XYZ file:
```
24
Properties=species:S:1:pos:R:3:lowdin_charge:R:1
O 0.183 1.734 -0.238 -0.36
S 0.390 0.471 -0.885 0.81
O -0.720 -0.542 -0.175 -0.85
Br -0.340 -2.288 -0.607 0.79
O 1.660 -0.210 -0.152 -0.43
C 2.919 0.440 -0.499 -0.24
C 3.441 1.243 0.685 -0.23
C 3.275 2.757 0.602 -0.56
S 4.008 3.577 -0.841 0.71
H 2.755 1.073 -1.373 0.08
H 3.590 -0.373 -0.760 0.13
H 4.488 1.002 0.872 0.11
H 2.881 0.902 1.559 0.12
H 3.782 3.196 1.461 0.06
H 2.220 3.020 0.678 0.06
H 4.277 2.506 -1.588 -0.16
Cl -6.809 -1.615 -0.173 0.54
C -5.363 -2.172 0.708 -0.67
C -4.183 -2.377 -0.205 -0.69
Cl -4.419 -3.754 -1.314 0.53
H -5.626 -3.092 1.224 0.07
H -5.122 -1.407 1.443 0.07
H -3.297 -2.596 0.387 0.04
H -3.992 -1.494 -0.810 0.07
```

TPMDC — Fox News On UC Davis Pepper Spraying: 'It's A Food Product, Essentially' — On Monday night, O'Reilly Factor host Bill O'Reilly and Fox News host Megyn Kelly sat down to discuss what really happened at UC Davis on Friday and whether campus police acted appropriately in showering …
Political Mojo, New York Times and First Draft
Mr Patch W. Adams / The P/Oed Patriot:
UC Davis Protesters AGREED To Being Pepper Sprayed By Police
UC Davis Protesters AGREED To Being Pepper Sprayed By Police
Discussion:, TIME Healthland and Verum Serum
Quinnipiac University:
Gingrich On Top Of GOP Pack As Cain Fades, Quinnipiac University National Poll Finds; Romney Ties Obama In One-On-One Matchup — Former House Speaker Newt Gingrich more than doubles his share of the Republican presidential vote to lead the presidential pack with 26 percent and in a head …
Danny Yadron / Washington Wire:
Tonight's Debate: Six Issues to Watch
Lydia Saad / Gallup:
Gingrich Now Leads GOP Field in Positive Intensity
Gingrich Now Leads GOP Field in Positive Intensity
Guardian, Big Government and GOP 12

Michele Bachmann's Entrance On Jimmy Fallon? The Fishbone Song ‘Lyin’ Ass Bitch' — Earlier this morning, our own Nando Di Fino critiqued Michele Bachmann's appearance on last night's Late Night with Jimmy Fallon by saying that that the first half of her segment, when she discussed …
Bachmann Mocked Amid Talk-Show Yuks — The drummer for the house band on “Late Night with Jimmy Fallon” apologized sort of for his decision to play “Lyin' Ass Bitch” when Rep. Michele Bachmann appeared on the talk show Monday night. — “The performance was a tongue-in-cheek and spur of the moment decision.
PolitickerNY, Big Hollywood and Jammie Wearing Fools
Ian Swanson / The Hill:
Obama heckled by protesters at New Hampshire speech — President Obama was heckled on Tuesday during an appearance at a New Hampshire high school. — Obama had traveled north to the Granite State, which holds the nation's first presidential primary, to discuss the economy and his proposal to extend a current payroll tax cut.
The Hill, CNN, Maggie's Farm, Weasel Zippers and Jammie Wearing Fools
Greg Sargent / Washington Post:
Despite attacks, Dems standing by Occupy Wall Street — For weeks now, Republicans have attacked Democrats for voicing support for the Occupy Wall Street protesters, in particular faulting the DCCC for standing up for them. And the incidents of violence and excess have led some neutral commentators …
Hot Air, Verum Serum, The Gateway Pundit, The Maddow Blog, Weasel Zippers, Klein Online, Washington's Blog and

Gov. John Kitzhaber stops executions in Oregon, calls system ‘compromised and inequitable’ — SALEM — Gov. John Kitzhaber announced today he will not allow the execution of Gary Haugen — or any death row inmate — to take place while he is in office. — The death penalty is morally wrong and unjustly administered, Kitzhaber said.
The Politico, The Moderate Voice, Associated Press, his vorpal sword and Daily Kos
William Yardley / New York Times:
Oregon Executions to Be Blocked by Gov. Kitzhaber
Oregon Executions to Be Blocked by Gov. Kitzhaber
The Stranger …

Thank You, Grover Norquist — The super committee's failure is rooted in a clash of visions. — So it's all Grover Norquist's fault. Democrats and the media are singing in unison that the reason Congress's antideficit super committee has failed is because of the conservative activist's magical antitax spell over Republicans.
Outside the Beltway, ThinkProgress, American Spectator and Business Insider
David Brooks / New York Times:
The Two Moons — In 1951, Samuel Lubell invented the concept of the political solar system. At any moment, he wrote, there is a Sun Party (the majority party, which drives the agenda) and a Moon Party (the minority party, which shines by reflecting the solar rays).
Washington Monthly, Washington Post, Booman Tribune, Connecting.the.Dots, Balloon Juice, Ben Smith's Blog and driftglass
Ben Smith / Ben Smith's Blog:
A complicated Romney family — Part of Mitt Romney's political persona is his perfect family: His oft-mentioned marriage of 40 years, his five handsome, successful sons and their photogenic families. Like much with Romney, it's an asset that is on the edge of being a liability …
Taegan Goddard's …

# Here the page breaks off for quantum chemistry results
********
one | ORCA calculation (ωB97M-V/def2-TZVPD) on an isolated ion of composition C7H15N2S and charge +1.

Bonds (Å) are listed after each position.
Geometry (Å):
1 C -0.1010 -1.3363 1.8190  N2 1.469, H11 1.079, H12 1.092, H13 1.058
2 N 0.3598 -0.7510 0.5530  C1 1.469, C3 1.358, C7 1.436
3 C -0.3750 -0.3901 -0.5304  N2 1.358, N4 1.323, H14 1.065
4 N -1.6363 -0.0701 -0.7679  C3 1.323, C5 1.493, C6 1.459
5 C -1.9722 0.4354 -2.1324  N4 1.493, H15 1.168, H16 1.103, H17 1.117
6 C -2.8015 -0.2739 0.0862  N4 1.459, H18 1.012, H19 1.156, H20 1.122
7 C 1.7828 -0.5891 0.4488  N2 1.436, C8 1.546, H21 1.048, H22 1.163
8 C 2.1966 0.8607 0.7885  C7 1.546, C9 1.501, S10 1.798, H23 1.049
9 C 2.9173 1.6942 -0.2303  C8 1.501, S10 1.857, H24 1.019, H25 1.036
10 S 3.9267 1.1025 1.2123  C8 1.798, C9 1.857
11 H 0.7475 -1.3516 2.4851  C1 1.079
12 H -0.8290 -0.6277 2.2192  C1 1.092
13 H -0.4587 -2.2932 1.5444  C1 1.058
14 H 0.1081 -0.2518 -1.4696  C3 1.065
15 H -2.3584 -0.5665 -2.5925  C5 1.168
16 H -1.2210 0.8612 -2.8187  C5 1.103
17 H -2.8101 1.1743 -2.1083  C5 1.117
18 H -2.6771 -0.9733 0.8065  C6 1.012
19 H -3.6328 -0.4230 -0.7032  C6 1.156
20 H -2.9545 0.6568 0.6944  C6 1.122
21 H 2.1644 -0.8498 -0.4917  C7 1.048
22 H 2.2304 -1.4464 1.0943  C7 1.163
23 H 1.5144 1.3501 1.4170  C8 1.049
24 H 3.1244 1.3432 -1.1641  C9 1.019
25 H 2.7551 2.7154 -0.1598  C9 1.036

## Properties
**LUMO level**: -3.34 eV
**Multiplicity**: 1
**Total charge**: +1
**Orbital gap**: 0.3165 Ha

---

two | ORCA calculation (ωB97M-V/def2-TZVPD) on a 2-piece molecular cluster, C7H15N2S overall.

Bonds (Å) are listed after each position.
Geometry (Å):
1 C -2.5672 0.9107 -0.3377  C4 1.266, H11 1.095, H12 1.074
2 C -0.9284 -0.9040 -1.0972  C3 1.495, C4 1.307, H13 1.070
3 C -0.4413 -1.8750 -0.0703  C2 1.495, C6 1.618, H14 1.102, H22 1.042
4 C -1.8234 0.0085 -0.8226  C1 1.266, C2 1.307
5 C 1.2601 -2.4705 1.6520  C6 1.438, H15 1.137, H16 1.186, H17 1.032
6 C 1.0733 -1.6808 0.4652  C3 1.618, C5 1.438, S10 1.797, H18 1.149
7 C 0.1090 3.0988 -0.8765  N8 1.328, N9 1.351, H19 1.134
8 N 0.1795 1.9106 -1.4657  C7 1.328, H20 0.976, H21 0.972
9 N 0.0801 3.2536 0.4657  C7 1.351, H23 0.992, H24 1.027
10 S 1.4560 0.0704 0.5909  C6 1.797, H25 1.349
11 H -2.2162 1.6816 0.3568  C1 1.095
12 H -3.5998 0.8047 -0.6131  C1 1.074
13 H -0.3230 -0.9327 -1.9785  C2 1.070
14 H -0.5407 -2.9100 -0.4366  C3 1.102
15 H 0.7188 -3.4614 1.7880  C5 1.137
16 H 0.8818 -1.8604 2.5956  C5 1.186
17 H 2.2856 -2.5200 1.7562  C5 1.032
18 H 1.7947 -2.1073 -0.3213  C6 1.149
19 H -0.0410 3.9818 -1.5723  C7 1.134
20 H -0.2373 1.8221 -2.3442  N8 0.976
21 H 0.5148 1.1422 -0.9736  N8 0.972
22 H -0.9650 -1.6956 0.8131  C3 1.042
23 H -0.0313 2.4363 1.0173  N9 0.992
24 H 0.2046 4.2177 0.7980  N9 1.027
25 H 2.6723 -0.3939 0.9437  S10 1.349

## Properties
**LUMO level**: -3.68 eV
**Multiplicity**: 1
**Total charge**: +1
**Orbital gap**: 0.3353 Ha

---

three | ORCA calculation (ωB97M-V/def2-TZVPD) on an isolated ion of composition C7H15N2S and charge +1.
********

The Path to 270 — Demographics Versus Economics in the 2012 Presidential Election — Changing demographics and the perceived and real state of the economy will play a huge role in determining the presidential winner when voters head to the polls in 2012. — SOURCE: AP/ Pat Sullivan
The Daily Beast, and The New Republic

Sarah Palin Got Scolded by Roger Ailes for Not Announcing Her Non-Candidacy on Fox News — Sarah Palin's announcement that she wouldn't run for president disappointed her legions of admirers — but it infuriated Roger Ailes. The Fox News chief wasn't angry about the decision itself.
Jamelle Bouie / American Prospect:
The Huntsman Dilemma — After spending $800,000-plus on media over the last several months, Our Destiny PAC, the pro-Jon Huntsman political action committee, plans to spend an additional $650,000 on new television ads for the New Hampshire primary. If Huntsman were a viable contender, this might make sense.
Outside the Beltway

Why the SuperCommitee Needed to Fail — Ask me what my greatest fear is right now, and I will tell you that my greatest fear is that the members of the SuperCommittee — which, as you may have noted, both Newt Gingrich and I think was a colossally stupid idea — will come up with some face-saving …
Firedoglake, Balloon Juice and The Impolitic
A.Killough / CNN:
Live Blog: CNN Republican National Security Debate — Washington, D.C. (CNN) - The CNN Political Ticker is live blogging the CNN Republican National Security Debate in Washington, D.C. Check here for live updates throughout the event and be sure to follow @PoliticalTicker, @CNNPolitics and use #CNNDebate. .
Firedoglake, The Gateway Pundit and Lawfare
Jon Huntsman / CNN:
Bring U.S. military in line with new reality — Editor's note: Jon Huntsman, former governor of Utah and U.S. ambassador to China, is a candidate for the Republican nomination for president. (Republican presidential candidates take on national defense, the economy, international relations …
Jammie Wearing Fools and Outside the Beltway